It’s a red light for digital payments technology within UK mobile industry

_These calculated molecules were left in the piece by mistake_
********
54
Properties=species:S:1:pos:R:3:lowdin_spin:R:1 method="wB97M-V/def2-TZVPD" charge=+1 homo_ha="-0.425 / -0.461" multiplicity=5 s_squared=6.05
C -1.66 3.20 -2.35 -0.011
C -1.44 1.93 -1.79 0.065
C -0.14 1.34 -1.79 0.036
C 0.93 2.18 -2.17 0.083
C 0.69 3.46 -2.69 -0.011
C -0.59 3.98 -2.79 0.079
C 2.27 1.80 -1.58 0.019
C 2.38 0.29 -1.78 0.063
C 1.27 -0.54 -1.58 0.043
C 1.39 -1.96 -1.75 0.059
C 2.62 -2.49 -2.17 -0.006
C 3.68 -1.63 -2.46 0.062
C 3.56 -0.27 -2.24 -0.007
H -2.68 3.58 -2.36 -0.002
H 1.55 4.09 -2.91 -0.001
H -0.79 4.98 -3.18 0.004
H 3.08 2.40 -2.10 0.003
H 2.79 -3.56 -2.19 -0.001
H 4.63 -2.03 -2.78 0.003
H 4.37 0.41 -2.46 -0.001
N 0.11 0.12 -1.08 0.549
Co -0.45 -0.44 0.57 2.377
C -2.49 1.25 -0.94 0.035
H -2.73 0.24 -1.33 0.004
H -3.38 1.89 -0.79 0.005
C 0.32 -2.88 -1.16 0.025
H -0.64 -2.77 -1.71 0.002
H 0.63 -3.94 -1.09 0.004
P -1.83 1.04 0.82 0.120
P -0.05 -2.44 0.57 0.096
C 1.28 -3.01 1.62 0.009
H 1.11 -2.62 2.63 0.000
H 1.24 -4.11 1.58 0.002
H 2.23 -2.63 1.23 0.000
C -1.59 -3.11 1.16 0.039
H -1.43 -4.19 1.22 0.008
H -1.79 -2.67 2.14 0.003
H -2.37 -2.85 0.43 0.003
C -1.71 2.64 1.55 0.011
H -2.74 3.04 1.53 0.003
H -1.36 2.49 2.57 0.000
H -1.03 3.29 0.99 0.001
C -3.03 0.02 1.71 0.060
H -2.64 -0.12 2.75 0.001
H -3.92 0.67 1.68 0.013
H -3.17 -0.95 1.19 0.005
C 1.00 0.04 1.66 0.085
O 2.09 0.23 2.01 0.006
H 2.45 2.17 -0.55 0.010
O -0.34 -1.71 4.00 0.002
Cl -0.41 -0.32 4.47 0.003
O -1.74 -0.03 4.92 0.002
O 0.60 -0.10 5.47 0.002
O -0.13 0.60 3.30 0.038


49
Properties=species:S:1:pos:R:3:nbo_charge:R:1 method="wB97M-V/def2-TZVPD" smiles="CCN(CC)CCN1C(=O)c2ccccc2N[C@@H]1c1ccccc1F" homo_ha=-0.294 de_lowest_kcal_mol=9.2 multiplicity=1
C -0.55 -2.90 4.02 -0.637
C -0.92 -2.03 2.82 -0.212
N 0.14 -1.79 1.84 -0.475
C 0.73 -2.98 1.25 -0.211
C -0.31 -3.83 0.52 -0.619
C 1.12 -0.80 2.28 -0.221
C 0.70 0.62 1.88 -0.230
N 0.84 0.84 0.46 -0.448
C 1.78 1.72 -0.01 0.671
O 2.50 2.35 0.75 -0.633
C 1.88 1.80 -1.48 -0.243
C 2.66 2.78 -2.07 -0.122
C 2.83 2.81 -3.44 -0.265
C 2.24 1.83 -4.23 -0.161
C 1.46 0.85 -3.66 -0.296
C 1.26 0.82 -2.28 0.290
N 0.53 -0.16 -1.65 -0.612
C -0.11 0.20 -0.41 0.086
C -1.33 1.08 -0.67 -0.149
C -1.36 2.45 -0.44 -0.182
C -2.48 3.20 -0.73 -0.219
C -3.61 2.59 -1.26 -0.193
C -3.61 1.23 -1.50 -0.301
C -2.48 0.50 -1.20 0.457
F -2.47 -0.83 -1.45 -0.346
H 0.33 -2.52 4.53 0.204
H -0.34 -3.93 3.70 0.203
H -1.37 -2.92 4.72 0.216
H -1.76 -2.47 2.29 0.196
H -1.24 -1.05 3.18 0.194
H 1.25 -3.60 2.00 0.166
H 1.47 -2.64 0.53 0.202
H -0.98 -4.34 1.22 0.202
H -0.90 -3.21 -0.14 0.210
H 0.20 -4.59 -0.07 0.216
H 2.08 -1.01 1.82 0.211
H 1.26 -0.83 3.37 0.181
H 1.35 1.34 2.37 0.251
H -0.34 0.81 2.17 0.193
H 3.13 3.51 -1.43 0.235
H 3.44 3.58 -3.90 0.214
H 2.38 1.84 -5.30 0.213
H 1.00 0.09 -4.27 0.209
H -0.01 -0.77 -2.25 0.393
H -0.44 -0.72 0.09 0.270
H -0.49 2.93 -0.02 0.227
H -2.48 4.26 -0.55 0.218
H -4.49 3.18 -1.49 0.218
H -4.47 0.73 -1.92 0.228


49
********
_Back to the piece_

shutterstock_157551953It started well, but now something has gone horribly wrong for digital payment technology within the UK mobile industry according to Dave Birch, director at Consult Hyperion.

Speaking at the Digital Services World Congress in London, Birch spoke about the mistakes made in the development of mobile payments to the point that the mobile payments industry is now grinding to a halt. Complex and expensive payment technologies that are hard to work with are being blamed for the struggle.

According the Birch the way to move forward is for the industry to simplify the existing mobile payment mechanisms by investing in best practice and increasing efforts to stay up to date with retailer technology.

Giving an outline of the problem as he sees it, Birch said that “secure elements in mobile handsets made it difficult to develop innovative payments programmes…not having access to a device’s secure access key is preventing developers from creating brilliant ideas for near-field communications (NFC) programmes.” He went on to add, “point of sale (POS) systems in the physical retail space have changed.”

It appears that there was a miscalculation in how merchants would respond to new technologies that came as a result of the mobile wallet and that the industry underestimated their actions. Retailers have in fact embraced new POS technologies onto the shop floor which has surprised the industry who thought it would be best to minimise the impact on merchants by working with their existing technology.

“Big merchants are saying that they are never going to order another POS terminal,” Birch said. “Merchants will be walking around with their own iPhones [to complete sales]. The girl with the iPhone has more functionality than she’d ever get with a POS terminal.”

Birch explained that one of the biggest projects for the payments industry was allowing TfL’s bus system to accept contactless card payments, and that by January 2014, the TfL open loop payment system will cover the whole of the TfL network.

“You can pay by tapping your Visa or Mastercard, but what you can’t do is walk into a shop in the UK and buy a single handset that will let you walk onto that bus and use NFC to pay,” he said.

Despite not having the mass market breakthrough the payment technology arena was aiming for, Birch was keen to get across the point that the lack of adoption wasn’t down to the consumer and that during early pilots, consumers were actively using Visa and TfL Oyster applications around London.

“They loved those things, the consumers were never the barrier,” he said.